_Material_
Material: Ce3GeS2
Method: DFT, r²SCAN
State: optimized geometry

a b c (Å): 7.258 7.258 7.258
angles (deg): 146.16 131.81 60.18
Fractional positions:
Ce: 0.668 0.668 0.000
Ce: 0.332 0.332 0.000
Ce: 0.000 0.000 0.000
S: 0.835 0.335 0.500
S: 0.165 0.665 0.500
Ge: 0.500 0.000 0.500

**Symmetry**: Immm
**VASP energy**: -22.318 eV/atom

~~~~~

1.
The following is a DFT calculation (PBE) of a relaxed CsYZnTe3 crystal.

formation energy from the elements = -7.9 eV per formula unit
total moment = 0.0000 μB/atom

a b c (Å): 4.4598 17.1545 11.7941
angles (deg): 90.00 90.00 90.00
Space group Cmcm (No. 63)
Asymmetric unit:
Cs (0.0000, 0.2450, 0.2500) (multiplicity 4)
Y (0.0000, 0.5000, 0.0000) (multiplicity 4)
Zn (0.0000, 0.0398, 0.7500) (multiplicity 4)
Te (0.0000, 0.1209, 0.5574) (multiplicity 8)
Te (0.0000, 0.4422, 0.7500) (multiplicity 4)


2.
The following is a DFT calculation (PBE) of a relaxed MgBi2O4 crystal.

polymorph energy (0 for the lowest one) = 83 meV/atom
formation energy from the elements = -13.4 eV per formula unit
total moment = 0.0000 μB/atom

a b c (Å): 11.6438 6.9327 16.4049
angles (deg): 90.00 91.33 90.00
Space group Cm (No. 8)
Asymmetric unit:
Mg (0.0000, 0.0000, 0.0000) (multiplicity 2)
Mg (0.0007, 0.0000, 0.6233) (multiplicity 2)
Mg (0.1630, 0.0000, 0.1626) (multiplicity 2)
Mg (0.3266, 0.5000, 0.8429) (multiplicity 2)
Mg (0.3279, 0.0000, 0.3244) (multiplicity 2)
Mg (0.4953, 0.0000, 0.4825) (multiplicity 2)
Bi (0.0699, 0.2475, 0.8310) (multiplicity 4)
Bi (0.1584, 0.5000, 0.6602) (multiplicity 2)
Bi (0.1585, 0.5000, 0.0448) (multiplicity 2)
Bi (0.1697, 0.5000, 0.2850) (multiplicity 2)
Bi (0.2555, 0.2471, 0.4942) (multiplicity 4)
Bi (0.3042, 0.0000, 0.7003) (multiplicity 2)
Bi (0.3301, 0.0000, 0.9469) (multiplicity 2)
Bi (0.4140, 0.2498, 0.1615) (multiplicity 4)
Bi (0.4978, 0.5000, 0.3752) (multiplicity 2)
O (0.0032, 0.0000, 0.7495) (multiplicity 2)
O (0.0048, 0.0000, 0.2406) (multiplicity 2)
O (0.0780, 0.2034, 0.0827) (multiplicity 4)
O (0.0825, 0.2497, 0.5782) (multiplicity 4)
O (0.1394, 0.0000, 0.9149) (multiplicity 2)
O (0.1480, 0.5000, 0.4196) (multiplicity 2)
O (0.1762, 0.5000, 0.9134) (multiplicity 2)
O (0.1873, 0.0000, 0.4062) (multiplicity 2)
O (0.2472, 0.2066, 0.2411) (multiplicity 4)
O (0.2561, 0.2768, 0.7660) (multiplicity 4)
O (0.3214, 0.0000, 0.0810) (multiplicity 2)
O (0.3318, 0.5000, 0.5869) (multiplicity 2)
O (0.3461, 0.5000, 0.0749) (multiplicity 2)
O (0.3552, 0.0000, 0.5599) (multiplicity 2)
O (0.4095, 0.2102, 0.4072) (multiplicity 4)
O (0.4196, 0.2937, 0.9180) (multiplicity 4)
O (0.4787, 0.0000, 0.7438) (multiplicity 2)
O (0.4850, 0.0000, 0.2511) (multiplicity 2)


3.
The following is a DFT calculation (PBE) of a relaxed Ba4Ge20Pt3 crystal.

formation energy from the elements = -10.1 eV per formula unit
total moment = 0.0000 μB/atom

a b c (Å): 10.8958 10.8958 10.8958
angles (deg): 90.00 90.00 90.00
Space group Pm-3n (No. 223)
Asymmetric unit:
Ba (0.0000, 0.0000, 0.0000) (multiplicity 2)
Ba (0.0000, 0.2500, 0.5000) (multiplicity 6)
Ge (0.0000, 0.3155, 0.1200) (multiplicity 24)
Ge (0.1833, 0.1833, 0.1833) (multiplicity 16)
Pt (0.0000, 0.5000, 0.2500) (multiplicity 6)


4.
The following is a DFT calculation (PBE) of a relaxed TlSbAs2PbS6 crystal.

formation energy from the elements = -6.1 eV per formula unit
total moment = 0.0000 μB/atom

a b c (Å): 6.0768 24.6809 8.5392
angles (deg): 90.00 113.69 90.00
Space group P2_1/c (No. 14)
Asymmetric unit:
Tl (0.2349, 0.0620, 0.0982) (multiplicity 4)
Sb (0.0473, 0.0708, 0.5375) (multiplicity 4)
As (0.3416, 0.6536, 0.8111) (multiplicity 4)
As (0.3451, 0.6653, 0.4045) (multiplicity 4)
Pb (0.1360, 0.2457, 0.5566) (multiplicity 4)
S (0.0493, 0.1646, 0.2722) (multiplicity 4)
S (0.0608, 0.1642, 0.7886) (multiplicity 4)
S (0.1160, 0.5123, 0.2275) (multiplicity 4)
S (0.3502, 0.5965, 0.5972) (multiplicity 4)
S (0.3672, 0.7412, 0.5604) (multiplicity 4)
S (0.3786, 0.5853, 0.0073) (multiplicity 4)


5.
_Brief_
It remains to set down all of the contents further above character by character.
_Written answer_
Material: Ce3GeS2
Method: DFT, r²SCAN
State: optimized geometry

a b c (Å): 7.258 7.258 7.258
angles (deg): 146.16 131.81 60.18
Fractional positions:
Ce: 0.668 0.668 0.000
Ce: 0.332 0.332 0.000
Ce: 0.000 0.000 0.000
S: 0.835 0.335 0.500
S: 0.165 0.665 0.500
Ge: 0.500 0.000 0.500

**Symmetry**: Immm
**VASP energy**: -22.318 eV/atom

~~~~~

1.
The following is a DFT calculation (PBE) of a relaxed CsYZnTe3 crystal.

formation energy from the elements = -7.9 eV per formula unit
total moment = 0.0000 μB/atom

a b c (Å): 4.4598 17.1545 11.7941
angles (deg): 90.00 90.00 90.00
Space group Cmcm (No. 63)
Asymmetric unit:
Cs (0.0000, 0.2450, 0.2500) (multiplicity 4)
Y (0.0000, 0.5000, 0.0000) (multiplicity 4)
Zn (0.0000, 0.0398, 0.7500) (multiplicity 4)
Te (0.0000, 0.1209, 0.5574) (multiplicity 8)
Te (0.0000, 0.4422, 0.7500) (multiplicity 4)


2.
The following is a DFT calculation (PBE) of a relaxed MgBi2O4 crystal.

polymorph energy (0 for the lowest one) = 83 meV/atom
formation energy from the elements = -13.4 eV per formula unit
total moment = 0.0000 μB/atom

a b c (Å): 11.6438 6.9327 16.4049
angles (deg): 90.00 91.33 90.00
Space group Cm (No. 8)
Asymmetric unit:
Mg (0.0000, 0.0000, 0.0000) (multiplicity 2)
Mg (0.0007, 0.0000, 0.6233) (multiplicity 2)
Mg (0.1630, 0.0000, 0.1626) (multiplicity 2)
Mg (0.3266, 0.5000, 0.8429) (multiplicity 2)
Mg (0.3279, 0.0000, 0.3244) (multiplicity 2)
Mg (0.4953, 0.0000, 0.4825) (multiplicity 2)
Bi (0.0699, 0.2475, 0.8310) (multiplicity 4)
Bi (0.1584, 0.5000, 0.6602) (multiplicity 2)
Bi (0.1585, 0.5000, 0.0448) (multiplicity 2)
Bi (0.1697, 0.5000, 0.2850) (multiplicity 2)
Bi (0.2555, 0.2471, 0.4942) (multiplicity 4)
Bi (0.3042, 0.0000, 0.7003) (multiplicity 2)
Bi (0.3301, 0.0000, 0.9469) (multiplicity 2)
Bi (0.4140, 0.2498, 0.1615) (multiplicity 4)
Bi (0.4978, 0.5000, 0.3752) (multiplicity 2)
O (0.0032, 0.0000, 0.7495) (multiplicity 2)
O (0.0048, 0.0000, 0.2406) (multiplicity 2)
O (0.0780, 0.2034, 0.0827) (multiplicity 4)
O (0.0825, 0.2497, 0.5782) (multiplicity 4)
O (0.1394, 0.0000, 0.9149) (multiplicity 2)
O (0.1480, 0.5000, 0.4196) (multiplicity 2)
O (0.1762, 0.5000, 0.9134) (multiplicity 2)
O (0.1873, 0.0000, 0.4062) (multiplicity 2)
O (0.2472, 0.2066, 0.2411) (multiplicity 4)
O (0.2561, 0.2768, 0.7660) (multiplicity 4)
O (0.3214, 0.0000, 0.0810) (multiplicity 2)
O (0.3318, 0.5000, 0.5869) (multiplicity 2)
O (0.3461, 0.5000, 0.0749) (multiplicity 2)
O (0.3552, 0.0000, 0.5599) (multiplicity 2)
O (0.4095, 0.2102, 0.4072) (multiplicity 4)
O (0.4196, 0.2937, 0.9180) (multiplicity 4)
O (0.4787, 0.0000, 0.7438) (multiplicity 2)
O (0.4850, 0.0000, 0.2511) (multiplicity 2)


3.
The following is a DFT calculation (PBE) of a relaxed Ba4Ge20Pt3 crystal.

formation energy from the elements = -10.1 eV per formula unit
total moment = 0.0000 μB/atom

a b c (Å): 10.8958 10.8958 10.8958
angles (deg): 90.00 90.00 90.00
Space group Pm-3n (No. 223)
Asymmetric unit:
Ba (0.0000, 0.0000, 0.0000) (multiplicity 2)
Ba (0.0000, 0.2500, 0.5000) (multiplicity 6)
Ge (0.0000, 0.3155, 0.1200) (multiplicity 24)
Ge (0.1833, 0.1833, 0.1833) (multiplicity 16)
Pt (0.0000, 0.5000, 0.2500) (multiplicity 6)


4.
The following is a DFT calculation (PBE) of a relaxed TlSbAs2PbS6 crystal.

formation energy from the elements = -6.1 eV per formula unit
total moment = 0.0000 μB/atom

a b c (Å): 6.0768 24.6809 8.5392
angles (deg): 90.00 113.69 90.00
Space group P2_1/c (No. 14)
Asymmetric unit:
Tl (0.2349, 0.0620, 0.0982) (multiplicity 4)
Sb (0.0473, 0.0708, 0.5375) (multiplicity 4)
As (0.3416, 0.6536, 0.8111) (multiplicity 4)
As (0.3451, 0.6653, 0.4045) (multiplicity 4)
Pb (0.1360, 0.2457, 0.5566) (multiplicity 4)
S (0.0493, 0.1646, 0.2722) (multiplicity 4)
S (0.0608, 0.1642, 0.7886) (multiplicity 4)
S (0.1160, 0.5123, 0.2275) (multiplicity 4)
S (0.3502, 0.5965, 0.5972) (multiplicity 4)
S (0.3672, 0.7412, 0.5604) (multiplicity 4)
S (0.3786, 0.5853, 0.0073) (multiplicity 4)


5.